Entries:
AcNd4HoTm2: computed X-ray diffraction stick pattern (Cu Kα (weighted mean of Kα1 and Kα2)), based on DFT lattice parameters and positions (GGA-PBE).

Structural model:
```
AcNd4HoTm2
1.0
11.527 0.000 0.000
0.000 5.172 0.000
-4.670 0.000 9.261
Ac Nd Ho Tm
2 8 2 4
Cartesian
0.000 0.000 0.000
5.763 2.586 0.000
-1.210 0.000 8.047
-0.035 2.586 5.753
1.128 0.000 3.507
2.304 2.586 1.213
4.553 2.586 8.047
5.729 0.000 5.753
6.892 2.586 3.507
8.068 0.000 1.213
-2.335 0.000 4.630
3.429 2.586 4.630
-3.458 2.586 6.878
4.552 0.000 2.383
2.306 0.000 6.878
10.315 2.586 2.383
```

Most intense lines, 10 to 90 degrees two-theta, sorted by position:
2.984 Å, 29.9°, intensity 100; 2.590 Å, 34.6°, intensity 34; 2.573 Å, 34.9°, intensity 17; 1.825 Å, 50.0°, intensity 24; 1.562 Å, 59.1°, intensity 14; 1.559 Å, 59.3°, intensity 15; 1.553 Å, 59.5°, intensity 14; 1.492 Å, 62.2°, intensity 12

AcNdHo4Tm2: computed X-ray diffraction stick pattern (Cu Kα (weighted mean of Kα1 and Kα2)), based on DFT lattice parameters and positions (GGA-PBE).

Structural model:
```
AcNdHo4Tm2
1.0
-3.459 5.931 6.696
3.459 -5.931 6.696
3.459 5.931 -6.696
Ac Nd Ho Tm
2 2 8 4
Cartesian
-1.730 2.966 3.348
1.730 2.966 3.348
0.000 0.000 0.000
0.000 5.931 0.000
3.459 -0.183 3.290
1.744 2.966 -0.166
5.174 2.966 -0.166
3.459 5.748 -3.290
0.000 0.183 9.987
-1.715 2.966 6.862
1.715 2.966 6.862
0.000 6.114 3.406
1.730 2.966 -3.348
1.730 -2.966 3.348
3.459 0.000 0.000
0.000 0.000 6.696
```

Most intense lines, 10 to 90 degrees two-theta, sorted by position:
3.348 Å, 26.6°, intensity 66; 2.988 Å, 29.9°, intensity 100; 2.965 Å, 30.1°, intensity 50; 2.229 Å, 40.5°, intensity 87; 2.220 Å, 40.6°, intensity 42; 1.716 Å, 53.4°, intensity 19; 1.527 Å, 60.6°, intensity 25; 1.461 Å, 63.7°, intensity 21

Ac2NdY5Ho: computed X-ray diffraction stick pattern (Cu Kα (weighted mean of Kα1 and Kα2)), based on DFT lattice parameters and positions (GGA-PBE).

Structural model:
```
Ac2NdY5Ho
1.0
2.907 -10.097 0.000
2.907 10.097 0.000
0.000 0.000 10.927
Ac Nd Y Ho
4 2 10 2
Cartesian
2.907 7.813 5.463
2.907 7.775 0.952
2.907 -7.775 6.415
2.907 -7.813 0.000
2.907 1.708 2.515
2.907 -1.708 7.978
2.907 9.711 8.659
2.907 4.385 0.897
2.907 4.094 5.186
2.907 2.295 8.618
2.907 0.375 5.532
2.907 -0.375 0.069
2.907 -2.295 3.154
2.907 -4.094 10.649
2.907 -4.385 6.360
2.907 -9.711 3.196
2.907 5.990 8.536
2.907 -5.990 3.072
```

Most intense lines, 10 to 90 degrees two-theta, sorted by position:
3.427 Å, 26.0°, intensity 17; 3.217 Å, 27.7°, intensity 17; 3.051 Å, 29.3°, intensity 41; 2.907 Å, 30.8°, intensity 42; 2.835 Å, 31.6°, intensity 100; 1.664 Å, 55.2°, intensity 21; 1.578 Å, 58.5°, intensity 15; 1.550 Å, 59.6°, intensity 14

----------

No. 1
# Ta3VB4
Computed powder diffraction line list, Cu Kα (λ = 1.5418 Å). Input: DFT lattice parameters and positions (GGA-PBE).

Crystal structure
```
data_Ta3VB4
_space_group_name_H-M_alt 'P 1'
_space_group_IT_number 1
_space_group_name_Hall 'P 1'
_cell_length_a 6.7440
_cell_length_b 6.7440
_cell_length_c 6.7440
_cell_angle_alpha 152.00
_cell_angle_beta 139.20
_cell_angle_gamma 50.22
loop_
_atom_site_label
_atom_site_type_symbol
_atom_site_fract_x
_atom_site_fract_y
_atom_site_fract_z
_atom_site_occupancy
Ta1 Ta 0.0000 0.0000 0.0000 1
Ta2 Ta 0.3057 0.8057 0.5000 1
Ta3 Ta 0.6943 0.1943 0.5000 1
V1 V 0.5000 0.5000 0.0000 1
B1 B 0.0538 0.3706 0.6832 1
B2 B 0.3126 0.6294 0.6832 1
B3 B 0.6874 0.3706 0.3168 1
B4 B 0.9462 0.6294 0.3168 1
```

Principal peaks in the range 2θ = 5–70°, in order of falling intensity:
- 2θ 36.61, I 100
- 2θ 29.01, I 66
- 2θ 38.29, I 28
- 2θ 46.43, I 25
- 2θ 61.70, I 20
- 2θ 28.31, I 20
- 2θ 68.12, I 16
- 2θ 64.65, I 14

=====

No. 2
# K3LaCl6
Computed powder diffraction line list, Cu Kα (λ = 1.5418 Å). Input: DFT lattice parameters and positions (GGA-PBE).

Crystal structure
```
data_K3LaCl6
_space_group_name_H-M_alt 'P 1'
_space_group_IT_number 1
_space_group_name_Hall 'P 1'
_cell_length_a 7.6666
_cell_length_b 8.1079
_cell_length_c 13.2349
To do:
It remains to say how many lines of the material further above hold the word "position", as a bare number.
Response:
3